Friday, July 10

# Unrelated to this article: quantum chemistry results
┌──
No. 1
Below is a 2-piece molecular cluster, C2H3N3 overall in a non-equilibrium geometry, with properties calculated with ωB97M-V with the def2-TZVPD basis set.

Positions of all 8 atoms, in Å:
N 0.6647 -0.8846 -0.1553
C -0.8463 0.2372 1.5349
N -1.1855 1.1433 0.8944
N -0.3414 1.1606 -1.0123
C 0.3367 0.0959 -0.9067
H 1.3144 -1.5438 -0.5669
H -0.5887 -0.5631 2.1971
H 0.6461 0.3546 -1.9851

Atoms 1-2, force components in eV/Å:
-0.02 0.23 -0.26
-0.29 0.73 -0.49

Values from the calculation:
ΔE to the lowest compared entry with this formula, charge and spin (kJ/mol): 416.49
LUMO level (eV): -0.583
Net charge: 0
E_tot (Ha): -242.114045
HOMO-LUMO gap (eV): 8.895

No. 2
Below is a 2-piece molecular cluster, C2H3N3 overall in a non-equilibrium geometry, with properties calculated with ωB97M-V with the def2-TZVPD basis set.

Positions of all 8 atoms, in Å:
C 0.1903 -0.4246 -0.2861
C 0.5684 1.0846 1.3869
N 1.6772 0.9610 2.1488
N 1.7828 1.8365 1.3341
N -0.0800 0.1196 -1.3307
H 0.4844 -1.1515 0.3208
H -0.3068 1.4798 1.6165
H -0.2519 -0.2340 -2.2146

Atoms 1-2, force components in eV/Å:
0.20 6.06 1.05
-0.12 -3.77 -5.85

Values from the calculation:
ΔE to the lowest compared entry with this formula, charge and spin (kJ/mol): 633.05
LUMO level (eV): 1.002
Net charge: 0
E_tot (Ha): -242.031563
HOMO-LUMO gap (eV): 8.816

No. 3
Below is a 2-piece molecular cluster, C2H3N3 overall in a non-equilibrium geometry, with properties calculated with ωB97M-V with the def2-TZVPD basis set.

Positions of all 8 atoms, in Å:
C 0.6592 -0.0542 0.1942
C -0.5703 0.5609 -0.0670
N -1.7377 -0.1203 -0.5135
N -1.7994 0.5397 0.5109
N 0.6042 -1.3377 -0.0885
H 1.4750 0.3286 0.7909
H -0.1417 1.9751 -0.8474
H 1.5108 -1.8922 0.0203

Atoms 1-2, force components in eV/Å:
1.22 -5.76 1.01
1.73 5.89 -4.07

Values from the calculation:
ΔE to the lowest compared entry with this formula, charge and spin (kJ/mol): 524.79
LUMO level (eV): 0.038
Net charge: 0
E_tot (Ha): -242.072796
HOMO-LUMO gap (eV): 10.395

No. 4
Below is a 2-piece molecular cluster, C2H3N3 overall in a non-equilibrium geometry, with properties calculated with ωB97M-V with the def2-TZVPD basis set.

Positions of all 8 atoms, in Å:
N 0.3400 0.2763 -1.2756
C 1.0752 0.3127 -0.2894
N 1.6777 0.2482 0.7679
H 0.7622 0.0390 -2.1654
H 2.1640 1.0586 1.1281
C -2.0779 -0.4119 0.5442
N -2.2216 -0.5556 1.6801
H -1.8917 -0.2636 -0.5022

Atoms 1-2, force components in eV/Å:
0.30 0.01 0.38
0.04 -0.04 0.00

Values from the calculation:
ΔE to the lowest compared entry with this formula, charge and spin (kJ/mol): 103.48
LUMO level (eV): 0.703
Net charge: 0
Structure (SMILES): N=C=N.C#N
E_tot (Ha): -242.233263
HOMO-LUMO gap (eV): 11.659

No. 5
Below is a single C2H3N3O molecule in a non-equilibrium geometry, with properties calculated with ωB97M-V with the def2-TZVPD basis set.

Positions of all 9 atoms, in Å:
O 0.2186 -1.9005 0.3736
C 0.0809 -0.6461 0.1297
C -0.4853 -0.0921 -0.9221
N -0.5779 1.2426 -0.6664
N 0.1335 1.4030 0.3411
N 0.6258 0.3639 0.9281
└──

Way behind! (July 3th-July 6th)

Looks like this is going to be another mammoth post. It would be much easier if I did it every day, but I rarely get a chance to sit down and write.

Here are some pictures that I forgot to upload in some previous posts:
This is one of many eagles that live near the house. When I first arrived it was breeding time for all the birds and deer that are so plentiful in Nanaimo. I like seeing all the nature going on in spite of human activity. The other day when I went down to the beach and subsequently lost all my pictures, I was walking along and I saw about eight eagles flying overhead. They were circling and I felt threatened, so I went back to the house. It also started to rain, so that was another good reason to leave.
This picture, along with several others that are to follow, is from when Barnabas and I went to Neck Point. It was a bit overcast that day but you can see how pretty it is.
I think Barnabas said this is a Douglass Fir. I thought of the character in those Highlights mystery things. His name is Douglass Fir and he was one of the suspects in the Canadian edition.
These are fishing huts along he coast of Neck Point. Barnabas told me that they were used by Japanese fishermen until the attack on Pearl Harbor, after which they were taken away and put into internment camps, just like in the US. I didn't know that Canada did the same thing. So sad
I like this picture. My uncle Barnabas is a great man in many ways
A lagoon at low tide in Neck Point. I have seen drastic differences in land from changing tides since arriving in Nanaimo. Probably because I am closer to the ocean here.
This is a protected species of tree that is indigenous to Vancouver Island. It is called a Gary Oak. That also happens to be the name of Professor Oak's son, Ash Ketchum's primary rival.
Canada day, Barnabas popping the champagne. Junko is on the left, Bobby is on the right.

Last time I posted I said we were going to Ucluelet (YOU-clue-let). We left on Friday and got there on Friday. The drive is three hours, but it was fun because Barnabas has a Jaguar and the road that goes to Ucluelet is super windy and the scenery is beautiful. I got some pictures from inside the car but they aren't the best, because the car was moving and there were trees and bushes alongside the road blocking the view.
Here are some to give you an idea of what it looks like
Along the way we stopped at a river. It was the product of a glacier in the mountains, so it was fresh, crisp, cool, and clean. The next few are from this river
Barnabas and Junko!My new sandals!
Very pure water. Yum
The guy in the middle that is jumping from rock to rock later dived into the river from the top of the big central rock. I have a video of it that I will try to upload, but in the past I've had trouble putting videos up here.

**Between two parts of the article: data records**
# 1
Entry from the Open Molecules 2025 dataset: a molecular structure, C29H45AsN5O3RbS3 (the ωB97M-V functional and the def2-TZVPD basis).

CARTESIAN COORDINATES (ANGSTROEM)
Rb 0.54 -0.68 -0.96
C 4.32 -2.04 -0.82
C 4.18 -0.91 0.20
N 2.96 -0.99 0.99
C 2.94 -1.90 2.12
C 2.83 -3.38 1.77
S 1.49 -3.81 0.59
C 2.44 -4.49 -0.81
C 2.72 -3.53 -1.98
N 3.09 -2.20 -1.56
H 4.55 -2.98 -0.31
H 5.19 -1.82 -1.46
H 4.13 0.03 -0.35
H 5.09 -0.88 0.83
H 2.69 -0.07 1.31
H 2.07 -1.62 2.72
H 3.83 -1.78 2.77
H 2.63 -3.94 2.69
H 3.75 -3.77 1.36
H 1.87 -5.34 -1.18
H 3.36 -4.89 -0.39
H 1.81 -3.43 -2.58
H 3.47 -4.03 -2.61
H 3.01 -1.56 -2.35
S 1.90 -0.32 -4.13
C 0.48 -1.22 -4.48
C -0.06 -1.24 -5.80
C -1.20 -1.93 -6.07
C -1.84 -2.64 -5.05
C -1.26 -2.60 -3.80
N -0.14 -1.92 -3.51
H 0.46 -0.68 -6.56
H -1.62 -1.94 -7.07
H -2.74 -3.21 -5.23
H -1.70 -3.15 -2.98
O -3.41 -2.31 6.08
C -2.72 -3.14 5.16
N -3.39 -3.12 3.90
C -3.22 -2.20 2.91
O -3.91 -2.21 1.90
C -2.16 -1.16 3.11
C -2.32 -0.12 4.02
C -1.37 0.88 4.04
C -0.30 0.81 3.16
N -0.12 -0.20 2.30
C -1.04 -1.16 2.29
H -3.04 -2.43 6.96
H -2.69 -4.17 5.52
H -1.69 -2.79 5.02
H -4.19 -3.73 3.79
H -3.17 -0.10 4.68
H -1.46 1.72 4.71
H 0.46 1.59 3.14
H -0.88 -1.99 1.59
C 2.99 4.04 -1.13
As 1.83 2.47 -0.98
C 0.68 2.88 -2.50
C 0.64 3.10 0.51
C -0.05 4.40 0.27
C 0.53 5.61 0.66
C -0.11 6.82 0.40
C -1.33 6.84 -0.25
C -1.92 5.64 -0.64
C -1.29 4.43 -0.38
H 2.40 4.95 -1.22
H 3.61 3.92 -2.01
H 3.65 4.12 -0.26
H 0.42 3.94 -2.53
H -0.22 2.28 -2.43
H 1.21 2.60 -3.42
H 1.28 3.15 1.39
H -0.07 2.29 0.65
H 1.48 5.59 1.17
H 0.36 7.74 0.71
H -1.82 7.78 -0.45
H -2.87 5.65 -1.15
H -1.74 3.50 -0.69
C -3.95 -0.39 -1.67
S -2.67 -0.10 -0.43
C -3.71 0.83 0.71
O -1.71 0.89 -1.00
H -4.71 -1.03 -1.23
H -3.48 -0.88 -2.51
H -4.36 0.57 -1.97
H -4.47 0.16 1.10
H -4.13 1.67 0.17
H -3.06 1.18 1.51

The frontier orbital gap comes out at 6.1 eV. Its LUMO energy is -0.07 eV. Its total charge is 0.

---

# 2
Entry from the Open Molecules 2025 dataset: 7 unconnected molecules or ions with the total composition C33H53BrO22 (the ωB97M-V functional and the def2-TZVPD basis).

CARTESIAN COORDINATES (ANGSTROEM)
C -5.44 -0.30 1.24
C -4.68 0.98 0.89
C -3.22 0.83 0.45
Br -3.01 -0.69 -0.78
C -2.70 2.13 -0.21
O -2.73 2.06 -1.61
C -3.86 2.53 -2.29
C -4.45 1.39 -3.10
O -5.25 1.93 -4.15
C -5.48 1.05 -5.18
C -6.21 -0.21 -4.78
O -5.15 1.32 -6.33
C -1.30 2.53 0.27
C -0.20 1.48 0.10
C 0.80 1.44 1.28
C 1.76 0.24 1.28
C 1.08 -1.04 1.85
C 2.41 -0.04 -0.07
O -1.05 3.76 -0.39
C 0.20 4.35 -0.15
H -4.78 -1.00 1.76
H -5.89 -0.78 0.37
H -6.24 -0.05 1.95
H -4.64 1.58 1.81
H -5.22 1.57 0.15
H -2.63 0.57 1.33
H -3.36 2.94 0.14
H -3.58 3.35 -2.96
H -4.62 2.92 -1.59
H -5.05 0.73 -2.45
H -3.62 0.79 -3.50
H -5.55 -1.07 -4.93
H -6.52 -0.20 -3.74
H -7.08 -0.33 -5.43
H -1.41 2.74 1.34
H -0.64 0.49 0.00
H 0.34 1.65 -0.84
H 1.39 2.37 1.28
H 0.23 1.43 2.21
H 2.57 0.51 1.97
H 1.36 -1.91 1.26
H 1.41 -1.22 2.87
H -0.01 -0.96 1.85
H 3.17 0.70 -0.33
H 2.90 -1.01 -0.01
H 1.68 -0.11 -0.88
H 0.16 5.36 -0.56
H 0.41 4.42 0.92

Yay it worked!
I also saw a raven for the first time. They are huge!
Back on the road again, I noticed some cool trees that looked like skeletons of trees. They were really tall and plentiful, but they had no leaves. They also had long points at the top that did not have any branches. For this reason I called them "narwhals of the forest". This isn't the best picture because the car was moving, but you can kind of see them on the left side.

Once we arrived in the Ucluelet/Tofino area, (Tofino is where we actually surfed, we just stayed in Ucuclet) we decided to check out one of the beaches (there are probably about seven). We had a walk about and I took pictures.
I found this funny because chien is also the word used to mean bitch. This sign can be read as "Keep your bitch on a leash"
It was a nice beach but the water was frigid
There were huge pieces of bull kelp strewn across the beach. I later found out how much I hate seaweed while surfing. In some place in the ocean I was up to my waist in seaweed and it dragged me back to shore. It also gets caught on the leg strap and makes it near impossible to ride a wave because it holds you back so effectively.
I caught me a marlin
Wolves and bears at the beach. Only on Vancouver Island

## Misplaced records of molecules
/*
Record 1
C17H72F3N3O28S | ωB97M-V/def2-TZVPD

Last column: Mulliken charge in e.
Element x y z (Å)
1 C -5.0999 2.3779 2.1513  -0.26
2 O -4.0098 1.8200 2.9802  -0.28
3 C -3.6689 2.7061 4.1045  -0.54
4 C -2.2249 2.2600 4.8201  -0.56
5 C -1.0231 2.7017 3.7440  -0.42
6 C 0.2562 1.6778 3.7987  -0.31
7 C 0.7989 1.1625 2.3400  0.33
8 C 1.5534 -0.3145 2.2556  0.32
9 C 1.8350 -1.3021 3.5419  -0.50
10 C 1.6044 -2.8448 3.0349  -0.24
11 C 1.2338 -3.9176 4.2183  0.32
12 N -0.2001 -4.4637 4.2431  -0.63
13 O 2.0636 -4.4030 5.1458  -0.52
14 C 2.0964 -0.8629 0.7776  -0.55
15 C 1.8900 0.0621 -0.5964  0.37
16 C 2.4309 -0.5882 -2.0384  -0.16
17 C 1.1556 -1.4041 -2.7002  0.29
18 O 0.1190 -0.4593 -3.2133  -0.51
19 C 0.5454 -2.5933 -1.7474  0.68
20 F -0.2571 -3.4869 -2.6640  -0.30
21 F 1.5747 -3.4696 -1.1326  -0.26
22 F -0.4204 -2.1147 -0.7129  -0.21
23 C 1.1844 1.5530 -0.6071  -0.15
24 N 0.9368 2.5396 -1.7321  -0.12
25 S 0.1188 3.9178 -0.9764  0.14
26 N 0.0797 3.3686 0.7164  -0.44
27 C 0.6781 1.9919 0.9151  0.36
28 H -5.1979 1.8220 1.1121  0.30
29 H -6.1118 2.2002 2.7173  0.24
30 H -4.9799 3.5214 1.9046  -0.07
31 H -4.5636 2.7172 4.8887  0.32
32 H -3.5573 3.8020 3.6835  0.25
33 H -2.1287 2.8609 5.8448  0.30
34 H -2.1867 1.1214 5.0897  0.27
35 H -0.6293 3.7520 4.1447  0.21
36 H -1.5552 2.7809 2.7041  0.23
37 H -0.0671 0.7438 4.4273  -0.09
38 H 1.1503 2.1866 4.3578  0.27
39 H 1.2625 -1.0090 4.5205  0.34
40 H 2.9946 -1.1773 3.7968  0.25
41 H 2.6065 -3.1722 2.4880  0.16
42 H 0.7364 -2.9090 2.2300  0.19
43 H -0.2084 -5.1912 3.4666  0.31
44 H -0.7981 -3.6787 3.8480  0.34
45 H 2.6462 -1.8977 0.6260  -0.01
46 H 2.6880 0.2826 -2.7820  -0.28
47 H 3.3823 -1.2786 -1.8710  0.43
48 H 1.5862 -1.9434 -3.6742  -0.14
49 H -0.7761 -0.6869 -2.8147  0.30
50 O -5.6114 3.7406 -0.3633  -0.48
51 H -6.1676 3.1521 -0.8956  0.26
52 H -5.1208 4.2566 -1.0206  0.28
53 O -0.7023 -1.3722 -6.2119  -0.67
54 H -0.4656 -1.2455 -5.2809  0.40
55 H -0.4963 -2.3038 -6.3810  0.31
56 O 0.4506 0.6923 -8.3838  -0.65
57 H 0.0974 0.2060 -7.6237  0.34
58 H 0.9911 1.3903 -7.9844  0.33
59 O 3.9261 -2.0575 -4.5151  -0.55
60 H 4.7329 -2.0120 -5.0498  0.29
61 H 3.4681 -2.8434 -4.8489  0.27
62 O -3.3215 1.0308 -2.9048  -0.59
63 H -3.0866 0.3530 -3.5561  0.31
64 H -2.4858 1.2202 -2.4523  0.31
65 O 1.2918 4.0090 -8.1117  -0.64
66 H 0.7356 3.4206 -8.6440  0.31
67 H 1.7825 4.5251 -8.7689  0.32
68 O -5.4709 -0.4388 1.4023  -0.56
69 H -5.2360 -1.1167 0.7510  0.31
70 H -4.6352 -0.2495 1.8547  0.32
71 O 4.5990 1.1834 -3.5213  -0.61
72 H 3.8460 1.7730 -3.3652  0.28
73 H 5.3560 1.7842 -3.5914  0.28
74 O -3.4163 5.3859 -1.0378  -0.58
75 H -2.5258 5.3737 -1.4196  0.24
76 H -3.2620 5.3358 -0.0825  0.32
77 O -5.7278 -2.0792 -0.8319  -0.64
78 H -6.2840 -2.6676 -1.3641  0.29
79 H -5.2372 -1.5632 -1.4891  0.31
80 O 2.7151 -7.2427 4.2200  -0.72
81 H 2.1711 -6.4796 4.4660  0.31
82 H 3.5992 -7.0141 4.5441  0.34
83 O 4.5098 -5.8200 2.0569  -0.59
84 H 3.7376 -6.2214 2.4830  0.34
85 H 4.1458 -5.3947 1.2659  0.28
*/

We went back to the car and drove to the hotel. Somewhere in this time frame I lost the FM transmitter that Simon gave me. Thankfully I have since bought a replacement that works very well.
There are about 10 people that actually live in Ucluelet, but it is a bit more populated during the summer when people come to surf. The hotel-ish place where we stayed was really nice. It was like an apartment. Evan and I shared one, while Junko, Barnabas and Bobby used another. One of the fun things about it was that we actually stayed in our own appartments. Instead of all hanging around in one place, it was like living in two dorms. Most of the days we were out surfing, but when we came home we went our seperate ways. Every one of us had a meal to cook, so we would take turns inviting the other appartment residents over. For example, I was in charge of Sunday night supper. I set the table, made the food, (sesame chicken caesar salad-it was delicious) and invited Junko, Barnabas and Bobby over to eat. The five of us had our meal, hung out for the night, and then they went back to their place to sleep. It was very fun.
Here are some pictures I took of our place when we arrived
My bedroom. Uber comfy bed
That is in my room! a big flat screen TV! I used it once
The view from my bedroom window. That is an outdoor bathtub on the deck
My personal bathroom. What decadence!
The main living space. The brightness of the outside light made my camera dim the scene. It was a brighter room than this shows.
The view from the deck. Very pretty. There were several bald eagles around, and I got to see one really close up with Barnabas' snazzy binoculars.
Junko says she can't swim, and she said she would do something swimming-related (I forget what) if she had Spiderman water wings. Bobby found some in the dollar store. They were the last pair left. Here is Junko blowing one up. I think this is from my supper night.
Time to leave. Bobby on the left, Barnabas on the right. I like this photo. I didn't get any surfing pictures, but various other people do, and I will get my hands on some. Surfing was really fun, and I was surprised at how quickly I picked it up. The first day we went out, we drove to the office of the surf school and we signed some papers, and then we were told to go ahead to the beach, Chesterman beach. Evan and I were signed up to take the class with two other people, and the other people hadn't arrived yet. We met the instructor, Mark, who I wish I got a picture of. He looked like Will Ferrell if he was a beach bum surfer dude. He had long curly hair, wore typical surfer clothes, and had white sunglasses on. We were sent off to Chesterman, and we assumed that we would find it easily, because all the other beaches were marked clearly, and Mark said it was five minutes away. about twenty minutes down the road, we called the school back and asked where it was. It turns out that Chesterman is the only beach that does not have a sign. Yipee. We drove back and eventually found it, but it was a pain in the buttocks. We got in our wetsuits, which was pretty challenging. Then we walked down with our boards and got set up on the beach. It was extremely foggy, and the fog didn't lift at all. Mark taught us the basics on the beach, and we were ready to head out into the freezing water. Mark is one of those guys who has catch phrases that he says all the time, and it just added to his amusing personality. I don't mean that he is witty or intentionally funny, but his mannerisms and catch phrases made me laugh inside. If you add the fact that he looks like a surfing Will Ferrell, you get a funny man. He was a great instructor, as he has a lot of experience. He told me he started surfing in 1992, and he has been all around the world in the pursuit of waves. He said that when he was in New Zealand he caught a 17 foot wave. He also wiped out in New Zealand so badly that the top half of his wetsuit got torn off his body.
We had 12 foot foamtop boards and by the end of the day I could catch most waves that came my way. It was cool.
The next day (Sunday) we rented equipment and got fiberglass boards, more by accident than anything. Fiberglass boards are more challenging to ride, but they provide for more maneuverability. That is why more experienced surfers go for fiberglass. The waves were bigger that day too, so it was hard to catch anything. I hadn't caught anything and I was about to leave, but after talking to Junko I went into a better wave area and caught two really good ones. After catching the first good one I got hit in the back of the head, which hurt a lot. Then I caught one more and left.
Surfing was oh so fun.

I am publishing this but it is still not up to date. I will keep making up for the two and a half weeks that I missed, but it'll take a few days.